Abstract: I wanted some mechanic in email, such that I could tell how a person found my address. Since I post my email address to many web sites, I wanted a way to track which web sites knew which emails. So I wrote a small script which allowed me to think of email addresses on the fly and distribute them. When someone responded to the emails they would be analyzed and forwarded to my inbox with a reply-to address that would take the opposite route and be sent as the ‘on-the-fly’ email address.

The piece is interrupted by materials data >
~~~
# 1
# KBe2Sn2

An optimized crystal structure of KBe2Sn2 (PBE-GGA, Alexandria via LeMat-Bulk).

Calculated values
- raw total energy (eV/atom) = -3.145
- magnetization (μB per cell) = 0.00
- space group = No. 139
- DOS(E_F) (states/eV/cell) = 1.0

a = 6.492 Å, b = 6.492 Å, c = 6.492 Å
α = 140.64°, β = 140.64°, γ = 56.88°
Sites, in units of the cell vectors:
K: 0.000 0.000 0.000
Be: 0.250 0.750 0.500
Be: 0.750 0.250 0.500
Sn: 0.369 0.369 0.000
Sn: 0.631 0.631 0.000



# 2
# Zr

An optimized crystal structure of Zr (PBE-GGA, Alexandria via LeMat-Bulk).

Calculated values
- raw total energy (eV/atom) = -7.698
- magnetization (μB per cell) = 0.00
- distance to the lowest polymorph of the same formula (meV/atom) = 850
- space group = No. 221
- DOS(E_F) (states/eV/cell) = 1.1

a = 2.912 Å, b = 2.912 Å, c = 2.912 Å
α = 90.00°, β = 90.00°, γ = 90.00°
Sites, in units of the cell vectors:
Zr: 0.000 0.000 0.000



# 3
# Pr2NdAg2

An optimized crystal structure of Pr2NdAg2 (PBE-GGA, Alexandria via LeMat-Bulk).

Calculated values
- raw total energy (eV/atom) = -4.075
- magnetization (μB per cell) = 0.00
- distance to the lowest polymorph of the same formula (meV/atom) = 110
- space group = No. 11
- DOS(E_F) (states/eV/cell) = 13.3

a = 5.903 Å, b = 4.821 Å, c = 11.175 Å
α = 90.00°, β = 98.15°, γ = 90.00°
Sites, in units of the cell vectors:
Pr: 0.104 0.250 0.380
Pr: 0.260 0.250 0.046
Pr: 0.740 0.750 0.954
Pr: 0.896 0.750 0.620
Nd: 0.414 0.250 0.718
Nd: 0.586 0.750 0.282
Ag: 0.219 0.750 0.862
Ag: 0.371 0.750 0.528
Ag: 0.629 0.250 0.472
Ag: 0.781 0.250 0.138



# 4
# LaPmHo2In4

An optimized crystal structure of LaPmHo2In4 (PBE-GGA, Alexandria via LeMat-Bulk).

Calculated values
- raw total energy (eV/atom) = -4.200
- magnetization (μB per cell) = 0.00
- space group = No. 166
- DOS(E_F) (states/eV/cell) = 3.9

a = 9.388 Å, b = 9.388 Å, c = 9.388 Å
α = 33.47°, β = 33.47°, γ = 33.47°
Sites, in units of the cell vectors:
La: 0.000 0.000 0.000
Pm: 0.500 0.500 0.500
Ho: 0.250 0.250 0.250
Ho: 0.750 0.750 0.750
In: 0.126 0.126 0.126
In: 0.376 0.376 0.376
In: 0.624 0.624 0.624
In: 0.874 0.874 0.874



# 5
# FeCu2Tc

An optimized crystal structure of FeCu2Tc (PBE-GGA, Alexandria via LeMat-Bulk).

Calculated values
- raw total energy (eV/atom) = -6.545
- magnetization (μB per cell) = 2.55
- distance to the lowest polymorph of the same formula (meV/atom) = 60
- space group = No. 6
- DOS(E_F) (states/eV/cell) = 3.4

a = 2.496 Å, b = 4.219 Å, c = 4.839 Å
α = 90.00°, β = 95.01°, γ = 90.00°
Sites, in units of the cell vectors:
Fe: 0.000 0.000 0.000
Cu: 0.354 0.500 0.764
Cu: 0.393 0.000 0.506
Tc: 0.807 0.500 0.263



# 6
# Ge7Ir4Rh

An optimized crystal structure of Ge7Ir4Rh (PBE-GGA, Alexandria via LeMat-Bulk).

Calculated values
- raw total energy (eV/atom) = -6.444
- magnetization (μB per cell) = 0.00
- space group = No. 8
- DOS(E_F) (states/eV/cell) = 5.3

a = 6.680 Å, b = 6.680 Å, c = 10.660 Å
α = 101.48°, β = 101.48°, γ = 25.80°
Sites, in units of the cell vectors:
~~~

Problem: There are two problems. The first is spam and general email mis-use. Essentially, this is what prompted the idea. I was angry/paranoid at the idea that some websites were selling their contact list to advertisers. Then there is the possibility that a website or friend’s contact list is hijacked and an attacker now knows you and your meta-relation. The next problem is that email sub-addressing does not work well. (There is also another problem with my implementation, we’ll discuss this later.)

Solution: I thought of this problem a few years ago and tried to create a Firefox plugin that would handle centralized distribution of random email addresses. Centralizing this issue is not a solution. A plugin or addon is not a solution. Imagine talking to someone, yeah for real talking, and giving them an email address (let’s call it a DYN address), you wont have easy access to such a plugin. Of course you could use a mobile app but at this point we’re managing to many pieces of software (for me at least). I wanted the ability to generate a new email address for each application, service, signup card, conversation. Essentially a set of domain forwarders. I used EXIM for an MTA and forwarded mail from 20 subdomains to a small script. I’ve included a diagram to the right which shows email to a DYN for “dynamic email address” which is represented by a machine. The machine can interact with a database, if needed, then create another email with a modified reply-to header. The script can be configured to encapsulate the original email or forward it with small modifications. This new email arrives at a user’s inbox and they see the sender as the original, but the recipient as themselves. However, the reply-to has changed, this is to prevent the user from sending email from their real email address. Instead the reply-to address will be directed back to the script which will forward the message as if it were sent from DYN. This proxies the user from the DYN email address.

Now there is a huge list of fancy options that email supports. However the script is only looking at the header information for the from address, subject, time, and to address. The subject and time are used to create an event. The from address is stored as the originator of the event and the the to address is stored as the receiver. The event is given an index and the reply-to is modified to contain the DYN email address plus the event ID. When the email comes back through the script the event ID is stripped from the to field and the event information is queried.

I mentioned checking a database when an email arrived at the mail proxy. I wanted to assure that only valid email addresses (one’s that were used) were forwarded. Now this violates my ability to generate a dynamic address during a conversion only slightly. See, email addresses that are used to sign up for services are entered into the database. Additionally I maintain a short list of one-time-use addresses that I can hand out at will. If I want to convert one of these to a multi-use address I can subsequently add it. The database is also used to store descriptions of why the DYN address was used. For single person you’d most likely keep the list of valid addresses in memory instead of using a database.

Conclusion: Although this sounds a bit complicated, it has worked a few times for tracking down which websites post email addresses, and where spam comes from. And if I don’t want to use a website or service any more, I can simply delete the address from my accepted list (no spam blocks or filters). It’s sort of a firewall for email, with a default deny all. :) By the way, if you search for ‘Proxied Email’ you’ll find Facebook’s wiki page, seems like they had a similar idea. I’m sure others have too…

The only difficult part is achieving true anonymity if I’m the only one using the domains with dynamic addresses.

“Oh look at this person with email address: jimbo35@gophj.prosauce.org, and another dude777@llsfo.prosauce.org. Think they’re the same person? …Na”

But anonymity is not the point, if someone wants to find out my true identify go for it, I’m sure they’re worth the unproxied conversation.